The Vampira Show was an American variety show hosted by Vampira. The series aired on the Los Angeles ABC television affiliate KABC-TV from April 30, 1954, through April 2, 1955. The series was produced and created by Hunt Stromberg, Jr., and featured the Vampira character created by Maila Nurmi.
Model one:
{
  "formula": "C43H48BrN4O2Ru",
  "method": "ωB97M-V with the def2-TZVPD basis set",
  "symbols": ["Ru", "C", "C", "C", "C", "C", "C", "C", "N", "C", "C", "C", "C", "C", "C", "C", "C", "C", "C", "N", "C", "C", "C", "N", "C", "C", "C", "C", "C", "C", "C", "C", "C", "C", "C", "C", "C", "C", "N", "C", "C", "H", "H", "H", "H", "H", "H", "H", "H", "H", "H", "H", "H", "H", "H", "H", "H", "H", "H", "H", "H", "H", "H", "H", "H", "H", "H", "H", "H", "H", "H", "H", "H", "H", "H", "H", "H", "H", "H", "H", "H", "H", "H", "H", "H", "Br", "C", "C", "C", "C", "C", "C", "C", "O", "O", "H", "H", "H", "H"],
• So much for the molecular data:
Though the show was unseen outside of the Los Angeles area, The Vampira Show has become a cult classic, spawning fan clubs the world over.
Rear Window is an American television movie directed by Jeff Bleckner. The teleplay by Larry Gross and Eric Overmyer is an updated adaptation of the classic 1954 feature film directed by Alfred Hitchcock, which was based on a short story by Cornell Woolrich. It was broadcast in the US by ABC on November 22, 1998. This stars Christopher Reeve, Daryl Hannah, and Robert Forster.
These quantum chemistry results were left in the page by mistake:
┌──
1.
Entry from the OMol25 dataset: a cluster of 10 separate species, C40H110N10O10 in total at a distorted geometry (ωB97M-V with the def2-TZVPD basis set).

Each line ends with the Löwdin charge.
Atoms and positions in Å:
C: -4.76870 -6.18786 5.20814  -0.121
O: -5.29584 -7.48237 5.51308  -0.191
C: -6.13822 -7.50121 6.74308  -0.173
C: -6.95389 -8.68476 7.05931  -0.473
C: -7.93288 -9.04936 5.98041  -0.085
N: -7.82932 -8.43009 8.20764  0.032
H: -4.23702 -5.75223 6.05410  0.078
H: -5.56551 -5.51999 4.88082  0.083
H: -3.97277 -6.11287 4.46721  0.083
H: -5.45891 -7.34269 7.58064  0.125
H: -6.71479 -6.57658 6.71592  0.122
H: -6.36475 -9.58427 7.23793  0.146
H: -8.57308 -9.88563 6.26126  0.080
H: -7.27311 -9.31342 5.15392  0.078
H: -8.54811 -8.21266 5.64944  0.087
H: -8.40239 -9.25497 8.31365  0.066
H: -8.39846 -7.70970 7.78668  0.062
C: -4.77313 -3.65119 -2.98711  -0.088
O: -3.95615 -2.66637 -3.63401  -0.207
C: -4.15349 -2.60883 -5.00748  -0.230
C: -3.21127 -1.49168 -5.54322  -0.423
C: -3.16221 -1.58336 -7.11609  -0.060
N: -1.82304 -1.54408 -5.06571  0.044
H: -4.73182 -4.62093 -3.48308  0.082
H: -5.84010 -3.43208 -3.02813  0.083
H: -4.42194 -3.79616 -1.96547  0.088
H: -3.93624 -3.54017 -5.53046  0.126
H: -5.18639 -2.29427 -5.15670  0.126
H: -3.57545 -0.51444 -5.22623  0.129
H: -2.60116 -2.47446 -7.39761  0.072
H: -2.65609 -0.67181 -7.43394  0.071
H: -4.15708 -1.57289 -7.56131  0.071
H: -1.57263 -2.44126 -5.45619  0.063
H: -1.99047 -1.68220 -4.07931  0.051
C: 10.44609 3.94467 -2.16431  -0.036
O: 9.19727 4.66992 -1.81546  -0.225
C: 8.06335 4.49076 -2.59862  -0.241
C: 6.91739 5.17205 -1.87219  -0.472
C: 5.58116 4.64793 -2.37726  -0.076
N: 6.91122 6.60679 -2.05153  0.056
H: 10.65387 3.99740 -3.23302  0.080
H: 10.09526 2.95513 -1.87131  0.081
H: 11.27116 4.28899 -1.54077  0.083
H: 8.22476 4.92987 -3.58311  0.132
H: 7.86884 3.42154 -2.68250  0.120
H: 6.95810 4.78069 -0.85569  0.137
H: 5.41118 4.75623 -3.44848  0.076
H: 4.85653 5.24541 -1.82408  0.073
H: 5.44312 3.57020 -2.29046  0.072
H: 7.82082 6.82395 -1.67000  0.070
H: 6.25026 6.92038 -1.35520  0.070
C: -7.74908 0.33650 7.88301  -0.109
O: -6.82261 -0.71546 7.61965  -0.202
C: -5.73840 -0.91770 8.61391  -0.185
C: -4.50796 -0.21574 8.21169  -0.493
C: -3.95230 -0.80948 6.91104  -0.046
N: -3.53525 -0.16422 9.26271  0.041
H: -7.34931 1.05395 7.16638  0.080
H: -7.77825 0.78797 8.87469  0.085
H: -8.75593 0.05621 7.57349  0.080
H: -6.01751 -0.68688 9.64197  0.118
H: -5.50119 -1.98156 8.60887  0.123
H: -4.79408 0.80228 7.94738  0.140
H: -3.02533 -0.29767 6.65243  0.078
H: -4.72817 -0.66869 6.15851  0.073
H: -3.81376 -1.88812 6.98488  0.076
H: -3.14788 -0.99320 9.69030  0.077
H: -4.01801 0.15019 10.09228  0.064
C: 0.08295 6.48377 -5.99534  -0.090
O: 0.29842 6.81349 -4.61779  -0.240
C: -0.84202 7.39898 -3.96205  -0.170
C: -0.29486 7.97786 -2.65324  -0.413
C: -1.28257 8.89907 -1.90972  -0.066
N: 1.01890 8.62419 -2.86253  0.027
H: -0.33146 7.28867 -6.60238  0.088
H: -0.55070 5.59758 -6.03073  0.081
└──
The quantum chemistry results stop here:
Tamanna House is a thriller television series that aired on Zee TV channel, every Sunday to Wednesday at 10pm IST. The series is a similar version of the popular mysteries of Agatha Christie's novels.
Sorority Forever is a web television series created and produced by web production company Big Fantastic, the creators of SamHas7Friends and Prom Queen. Film director McG is an executive producer of the show. The first season of the series, which debuted September 8, 2008 on, followed four incoming freshman in “the hottest sorority on campus” and while it had some Gossip Girl elements to it, it “also contain a lot of mystery similar to Prom Queen.”
Bunker, or Learning Underground is a science-fiction mystery television series with comic undertones that was first broadcast on the Russian television network TNT in May 2006.
The Adventures of Mary-Kate & Ashley is a series of musical mystery videos starring twin actresses Mary-Kate & Ashley Olsen. The series was also written as children's books, usually showing the twins on the cover. The video series was distributed by KidVision
_Quantum chemistry results, as found in the file_
<<<
Below is a molecular structure, C16H7Br4CuN8O3 in a non-equilibrium geometry, with properties calculated with ωB97M-V/def2-TZVPD.

Its total charge is -2. The calculated total energy is -359581.2537 eV. The calculation puts the largest force on an atom at 0.0380 Eh/bohr.

Cartesian coordinates (Å):
Cu1 0.431 0.629 -0.041
Br1 2.126 -5.780 1.656
C1 2.180 -3.998 1.010
C2 3.289 -3.534 0.335
Br2 4.804 -4.646 0.096
C3 3.275 -2.234 -0.175
Br3 4.790 -1.557 -1.109
C4 2.186 -1.383 -0.054
O1 2.165 -0.206 -0.586
C5 1.051 -1.842 0.720
O2 0.066 -1.054 0.945
C6 1.091 -3.151 1.198
Br4 -0.429 -3.735 2.183
N1 -2.622 2.511 0.722
C7 -1.661 2.416 -0.208
N2 -1.469 1.146 -0.525
C8 -2.418 0.486 0.225
N3 -3.114 1.304 1.008
C9 -2.683 -0.920 0.110
C10 -3.573 -1.578 0.975
N4 -3.916 -2.837 0.806
C11 -3.317 -3.494 -0.191
C12 -2.393 -2.867 -1.012
N5 -2.102 -1.586 -0.900
H1 -2.931 3.333 1.217
H2 -1.162 3.262 -0.629
H3 -4.015 -1.060 1.814
H4 -3.601 -4.530 -0.317
H5 -1.887 -3.398 -1.811
N6 2.645 2.710 -0.909
C13 1.543 3.257 -0.316
O3 0.872 2.581 0.506
C14 1.224 4.611 -0.626
C15 0.136 5.242 -0.041
N7 -0.773 5.789 0.423
C16 1.947 5.341 -1.555
N8 2.536 5.937 -2.355
H6 2.697 1.699 -0.845
H7 3.011 3.136 -1.745

~~~~~

Below is a cluster of 6 separate species, C42H72F2N4O21PS in total in a non-equilibrium geometry, with properties calculated with ωB97M-V/def2-TZVPD.

Calculated values
Calculated total energy ... -119231.0910 eV
Frontier orbital gap ... 7.2617 eV
E_LUMO ... -3.7 eV
Net charge ... +1

Structure (XYZ):
```
143
C42H72F2N4O21PS ωB97M-V/def2-TZVPD
C 3.03032 -6.01456 0.06290
C 3.45603 -4.51431 0.29403
F 4.75736 -4.56815 0.85669
C 3.36718 -3.56231 -0.95825
N 4.52953 -3.52604 -1.89402
C 5.03502 -4.63185 -2.15712
S 5.84305 -5.98511 -2.39063
N 2.25338 -4.00515 -1.89532
C 1.02408 -3.69301 -1.12189
C 1.35994 -2.16452 -0.67495
C 0.65497 -2.15724 0.75218
O 0.29889 -0.86322 1.23502
C -1.00106 -0.82540 1.75419
C -1.13657 -0.49843 3.18706
C -2.43615 -0.38417 3.85919
C -3.64750 -0.59791 3.05967
C -3.54467 -0.93943 1.63254
C -2.22872 -1.04184 0.99580
C 0.51974 -1.41891 -1.80802
O -0.35067 -0.62411 -1.55751
N 0.72212 -1.69639 -3.23773
C -0.25272 -0.91175 -4.00522
O -1.33943 -1.34162 -4.20446
F 0.05734 0.28925 -4.55954
C 2.99706 -1.99015 -0.71181
C 3.45479 -1.40651 0.68930
C 4.91820 -0.82938 0.76468
C 6.09705 -1.85890 0.60753
C 7.44365 -1.00903 0.79236
C 7.74347 -0.17982 -0.55030
N 7.92485 1.26256 -0.23213
C 3.55856 -1.02600 -1.82818
P 3.06730 0.76518 -1.74557
O 4.22651 1.69854 -1.57704
O 2.44578 1.11902 -3.26313
O 1.85813 1.13777 -0.68955
H 1.95595 -6.23435 0.30499
H 3.67664 -6.68465 0.69738
H 3.21570 -6.35366 -1.00099
H 2.80582 -4.13212 1.13471
H 2.48005 -3.41805 -2.72393
H 2.30523 -4.95104 -2.29826
H 0.77003 -4.39107 -0.27272
H 0.07962 -3.75698 -1.73409
H 1.24749 -2.68064 1.54767
H -0.29587 -2.76143 0.61493
H -0.21062 -0.33116 3.78659
H -2.48117 -0.10283 4.93655
H -4.64810 -0.48489 3.55248
H -4.47998 -1.08006 1.03539
H -2.19229 -1.28391 -0.09068
H 0.48126 -2.66050 -3.48239
>>>
At the turn of the century, due to the water storage requirements of water conservancy projects, a small riverside town was about to be submerged. People were in full swing in the construction of a new city and population migration. In the summer of 2002, there was heavy rain in Dongjiang City. A bizarre murder case broke into the police's view. A dead lover and a disappeared and resurrected husband were both the "murderer" and the "dead." Finally, under the unremitting investigation of the police, a past that had been dusty for many years was revealed. The complexity of human nature has blinded many people, but the truth will never be drowned out. Everything you can see is sunshine.